Just Trying to Help Out

“Thirty-one, you’re in my seat again,” Two said, folding his arms and scowling. “Get out and wait your turn.”

“It’s not your seat,” Thirty-one said. He leaned back and smiled. “It belongs to whoever is keeping the journal. You were late. I’m just here helping you out.”

Two growled and pointed at the door. “I’m here now. Just go. You need to stop trying to take someone else’s turn.”

Thirty-one sighed.   “Fine, fine. It’s not fair though. I get fewer turns than anyone else. Even thirty gets eleven turns a year. I just get seven.” He slowly got out of the chair. He paused.   “Are you sure you don’t want a break?”

“I get a break the rest of the month. You’re wasting my time,” Two said.

“Wouldn’t this work better if there were more of us watching? There are a lot of children in the world, after all. We could each take an area, and…”

Two frowned. “Is your elf magic insufficient to do the job? It shouldn’t be too hard for someone else to cover for you. It’s not like you work that many days, after all.”

Thirty-one held up his hands. “No, no, I don’t have any problems with doing the job. I just thought it might be nice to all work together sometimes.”

Two turned away.   “Fine then, just go away. You’re breaking my concentration.”

“Well, call me if you need help with anything,” Thirty-one said.

“Yeah, yeah.   Go find something else to do,” Two said.

_What comes next are crystal structures, not part of the entry_
********
The following is a theoretical XRD peak list of SrZn4Cu9. It was derived from DFT lattice parameters and positions (PBE), using CuKα.

Peak list (10 most intense, 2θ from 5° to 70°, sorted by position)
14.96°, rel. 260
33.73°, rel. 120
33.88°, rel. 221
37.09°, rel. 285
37.21°, rel. 524
45.16°, rel. 420
45.33°, rel. 1000
45.92°, rel. 127
46.05°, rel. 184
48.69°, rel. 98

Cell and atoms:
Lattice parameters (Å, degrees): 8.3872 8.3872 8.3872 120.21 120.21 89.64
Sites, in units of the cell vectors:
Sr (0.2500, 0.2500, 0.0000)
Sr (0.7500, 0.7500, 0.0000)
Zn (0.0610, 0.5610, 0.8634)
Zn (0.1976, 0.0610, 0.5000)
Zn (0.3024, 0.8024, 0.8634)
Zn (0.4390, 0.3024, 0.5000)
Zn (0.5610, 0.6976, 0.5000)
Zn (0.6976, 0.1976, 0.1366)
Zn (0.8024, 0.9390, 0.5000)
Zn (0.9390, 0.4390, 0.1366)
Cu (0.0000, 0.5000, 0.5000)
Cu (0.0630, 0.2048, 0.2678)
Cu (0.0642, 0.7912, 0.5000)
Cu (0.2048, 0.9370, 0.1418)
Cu (0.2088, 0.7088, 0.2730)
Cu (0.2912, 0.5642, 0.5000)
Cu (0.2952, 0.4370, 0.7322)
Cu (0.4358, 0.9358, 0.7270)
Cu (0.4370, 0.7048, 0.1418)
Cu (0.5000, 0.0000, 0.5000)
Cu (0.5630, 0.2952, 0.8582)
Cu (0.5642, 0.0642, 0.2730)
Cu (0.7048, 0.5630, 0.2678)
Cu (0.7088, 0.4358, 0.5000)
Cu (0.7912, 0.2912, 0.7270)
Cu (0.7952, 0.0630, 0.8582)
Cu (0.9358, 0.2088, 0.5000)
Cu (0.9370, 0.7952, 0.7322)

=====

The following is a theoretical XRD peak list of SrZn6Cu6. It was derived from DFT lattice parameters and positions (PBE), using CuKα.

Peak list (10 most intense, 2θ from 5° to 70°, sorted by position)
34.97°, rel. 309
35.48°, rel. 216
40.08°, rel. 432
40.67°, rel. 671
40.91°, rel. 1000
41.62°, rel. 460
41.82°, rel. 442
45.24°, rel. 241
46.14°, rel. 222
46.64°, rel. 813

Cell and atoms:
Lattice parameters (Å, degrees): 6.7723 6.7723 6.7723 137.09 98.65 96.73
Sites, in units of the cell vectors:
Sr (0.0000, 0.0000, 0.0000)
Zn (0.2177, 0.7177, 0.5000)
Zn (0.3508, 0.0000, 0.3508)
Zn (0.3545, 0.3545, 0.0000)
Zn (0.6455, 0.6455, 0.0000)
Zn (0.6492, 0.0000, 0.6492)
Zn (0.7823, 0.2823, 0.5000)
Cu (0.0000, 0.0000, 0.5000)
Cu (0.0000, 0.5000, 0.0000)
Cu (0.2354, 0.5000, 0.7354)
Cu (0.5000, 0.0000, 0.0000)
Cu (0.5000, 0.5000, 0.5000)
Cu (0.7646, 0.5000, 0.2646)

=====

The following is a theoretical XRD peak list of SrZn7Cu5. It was derived from DFT lattice parameters and positions (PBE), using CuKα.

Peak list (10 most intense, 2θ from 5° to 70°, sorted by position)
34.90°, rel. 222
35.08°, rel. 187
39.89°, rel. 390
40.18°, rel. 399
40.47°, rel. 1000
41.77°, rel. 740
44.91°, rel. 183
45.52°, rel. 187
46.59°, rel. 689
68.32°, rel. 197

Cell and atoms:
Lattice parameters (Å, degrees): 6.8303 6.8303 6.8303 137.69 97.15 97.82
Sites, in units of the cell vectors:
Sr (0.0000, 0.0000, 0.0000)
Zn (0.2231, 0.4969, 0.7262)
Zn (0.3438, 0.9895, 0.3543)
Zn (0.3479, 0.3479, 0.0000)
Zn (0.6352, 0.9895, 0.6457)
Zn (0.6428, 0.6428, 0.0000)
Zn (0.7615, 0.2615, 0.5000)
Zn (0.7707, 0.4969, 0.2738)
Cu (0.2295, 0.7295, 0.5000)
Cu (0.4948, 0.4952, 0.5001)
Cu (0.4948, 0.9948, 0.9997)
Cu (0.9951, 0.4952, 0.0003)
********
_The crystal structures stop here_

Thirty-one trudged out of the room. He looked back once and sighed. Two was already busy writing in the journal. Oh well, he could try the toy room. Maybe they weren’t busy and would like some company.

The elves in the toy room looked up as he entered. “Oh, look guys,” one of the elves said. “It’s one of the calendar elves. Shouldn’t you be off somewhere meditating and preparing your mind for the one day a month you need to work?”

-- Materials data from another source follow --
No. 1
Simulated X-ray powder pattern
Compound: KLuMo2O8
Radiation: Cu Kα X-rays
Structure: a cell relaxed with GGA+U

Largest 6 diffraction maxima, in order of rising 2θ, 2θ from 15° to 90°:
hkl 1 0 1, 2θ 20.45, d 4.342, I = 100
hkl 1 0 2, 2θ 28.35, d 3.148, I = 58
hkl 1 1 0, 2θ 29.80, d 2.998, I = 51
hkl 2 0 2, 2θ 41.60, d 2.171, I = 26
hkl 2 1 1, 2θ 47.74, d 1.905, I = 20
hkl 2 1 2, 2θ 52.00, d 1.759, I = 21

Structure:
a = 5.9966 Å, b = 5.9966 Å, c = 7.9168 Å
α = 90.00°, β = 90.00°, γ = 120.00°
Space group P-3m1 (No. 164)
Unique sites:
K  0.0000  0.0000  0.0000 x1
Lu  0.0000  0.0000  0.5000 x1
Mo  0.3333  0.6667  0.2613 x2
O  0.1680  0.3360  0.3336 x6
O  0.3333  0.6667  0.0405 x2

=====

No. 2
Simulated X-ray powder pattern
Compound: K2RbLuV2O8
Radiation: Cu Kα X-rays
Structure: a cell relaxed with GGA+U

Largest 6 diffraction maxima, in order of rising 2θ, 2θ from 15° to 90°:
hkl 1 0 0, 2θ 17.17, d 5.165, I = 42
hkl 1 0 1, 2θ 20.65, d 4.301, I = 27
hkl 0 1 2, 2θ 28.76, d 3.104, I = 100
hkl 1 1 0, 2θ 29.97, d 2.982, I = 85
hkl 2 0 2, 2θ 42.01, d 2.150, I = 47
hkl 1 2 2, 2θ 52.46, d 1.744, I = 36

Structure:
a = 5.9636 Å, b = 5.9636 Å, c = 7.7689 Å
α = 90.00°, β = 90.00°, γ = 120.00°
Space group P-3m1 (No. 164)
Unique sites:
K  0.3333  0.6667  0.2015 x2
Rb  0.0000  0.0000  0.5000 x1
Lu  0.0000  0.0000  0.0000 x1
V  0.3333  0.6667  0.7544 x2
O  0.1723  0.3446  0.8316 x6
O  0.3333  0.6667  0.5376 x2

=====

No. 3
Simulated X-ray powder pattern
Compound: KLuW2O8
Radiation: Cu Kα X-rays
Structure: a cell relaxed with GGA+U

Largest 6 diffraction maxima, in order of rising 2θ, 2θ from 15° to 90°:
hkl 2 2 0, 2θ 27.32, d 3.264, I = 100
hkl 2 2 -2, 2θ 29.51, d 3.027, I = 96
hkl 0 0 2, 2θ 31.85, d 2.809, I = 34
hkl 4 0 -2, 2θ 32.74, d 2.735, I = 23
hkl 3 1 0, 2θ 33.33, d 2.688, I = 23
hkl 1 3 2, 2θ 48.05, d 1.893, I = 30

Structure:
a = 11.0168 Å, b = 10.4844 Å, c = 7.4187 Å
α = 90.00°, β = 130.76°, γ = 90.00°
Space group C2/c (No. 15)
Unique sites:
K  0.0000  0.2098  0.2500 x4
Lu  0.0000  0.2232  0.7500 x4
W  0.1971  0.4959  0.7104 x8
O  0.0130  0.3872  0.9577 x8
O  0.1380  0.1015  0.6971 x8
O  0.1886  0.4341  0.4418 x8
O  0.1987  0.1500  0.1135 x8

=====

No. 4
Simulated X-ray powder pattern
Compound: KMgMn2Mo2O10
Radiation: Cu Kα X-rays
Structure: a cell relaxed with GGA+U

Largest 6 diffraction maxima, in order of rising 2θ, 2θ from 15° to 90°:
hkl 0 1 -1, 2θ 16.81, d 5.275, I = 51
hkl -1 1 1, 2θ 21.99, d 4.042, I = 100
hkl 0 1 1, 2θ 24.95, d 3.569, I = 51
hkl 1 0 -2, 2θ 25.13, d 3.543, I = 54
hkl 1 -1 2, 2θ 28.70, d 3.110, I = 78
hkl 0 2 -1, 2θ 32.13, d 2.786, I = 40

Structure:
a = 6.1426 Å, b = 6.1822 Å, c = 7.9683 Å
α = 106.97°, β = 98.22°, γ = 115.55°
Space group P1 (No. 1)
Unique sites:
K  0.0000  0.0000  0.0000 x1
Mg  0.0581  0.5821  0.6216 x1
Mn  0.0108  0.9782  0.4784 x1
Mn  0.4980  0.4600  0.4606 x1
Mo  0.4167  0.7943  0.1877 x1
Mo  0.6075  0.1726  0.7651 x1
O  0.1925  0.3492  0.5547 x1
O  0.2547  0.9879  0.6976 x1

“It’s not like you work all year, either. You don’t know what the kids want until they send out their lists,” Thirty-one said.

“We can make some things in advance. There are classic toys, you know. Or maybe you don’t. You are a calendar elf after all,” the elf said. “Why don’t you move along and let the real elves work.”

Thirty-one made his most fearsome face at the elf, but he’d already turned away and started laughing with his friends. So, Thirty-one sighed and trudged away, feeling useless. Even the toy elves had more to do.

But wait! If they had work to do, maybe they’d need help. He was an elf. Surely making toys was instinct or something. He could get up early and make a bunch of toys, and when they came in to work, they’d all be impressed and grateful. They’d ask him to come in and help whenever he wasn’t busy, which was almost always.

It seemed like the perfect plan. Unfortunately, making toys wasn’t something that even elves could figure out by instinct. So, when the toy making elves arrived, they found him still trying to assemble his first tricycle, and it wasn’t going well.

“What are you doing?” one of the elves asked, folding his arms over his chest and glaring at Thirty-one. “Those aren’t the right tires, and you’re stripping all the screws. And that seat is for the bicycles. It’s much too big. In fact, the whole thing is wrong. Is this sabotage?”

“I just wanted to help,” Thirty-one said. “You said you were busy, and I wanted to help.”

“We don’t need your help. You’re just making a mess of things. Go away, calendar elf,” the elf said.

“But I could learn,” Thirty-one said. “I’d be happy to sit and watch while you showed me what to do. I’m a fast learner.”

“Are you trying to steal our jobs?” the elf said. “You have your own job. Go away.” And the other elves started yelling at him to go away, and so Thirty-one left.

He went home, because he had nothing else to do. He tried helping out elsewhere, but the stable elves and house elves insisted that they didn’t need any help either.

But surely, somewhere, someone needed help. Thirty-one thought of all the children he checked on during the year.   Lots of them needed help. He wasn’t really sure what he could do to help out all of those children, but surely he could find something.

And so, for three hundred and fifty-eight days of the year, the world’s smallest super hero started helping the children of the world from the shadows. And he was happy.